Exercise >
It remains to write out the whole of the listing underneath verbatim.

File >
┌──
The following is a DFT calculation (ωB97M-V with the def2-TZVPD basis set) of a structure of composition C40H95F9N7O13Sr.

Each line ends with the Mulliken charge.
Element x y z (Å)
Sr: -2.8929 2.5185 -0.7821  1.318
C: 0.4771 6.2331 1.6137  -0.228
O: 0.4763 7.4895 1.0117  -0.210
O: -0.2307 5.4031 0.7650  -0.708
C: 1.9123 5.7972 2.1777  0.910
F: 2.0025 4.5155 2.4976  -0.213
F: 2.8517 5.9813 1.2480  -0.327
F: 2.3344 6.4033 3.2359  -0.311
C: 0.8261 8.6128 1.8845  -0.282
C: 1.3900 9.6036 0.8373  -1.205
H: 0.5417 10.1306 0.4005  0.289
H: 1.9397 10.4097 1.3231  0.382
H: 2.0529 9.1528 0.0988  0.297
H: 1.5043 8.4205 2.7159  0.294
H: -0.0609 9.1192 2.2650  0.287
H: -0.1865 6.3950 2.4632  -0.005
C: 0.5155 3.0207 -2.5984  0.979
O: 1.5899 3.8598 -2.1682  -0.216
O: -0.6140 3.6971 -2.0383  -0.861
C: 0.4874 2.6933 -4.1285  0.730
F: -0.1377 3.6605 -4.8880  -0.359
F: 1.6689 2.5055 -4.6514  -0.281
F: -0.2738 1.6287 -4.3830  -0.149
C: 2.9733 3.3288 -2.0640  0.412
C: 3.8453 4.5937 -2.2062  -1.485
H: 3.3647 5.3753 -1.6177  0.282
H: 4.8504 4.4329 -1.8163  0.418
H: 3.8607 4.9252 -3.2445  0.328
H: 3.2869 2.6446 -2.8524  0.234
H: 3.1561 2.7834 -1.1381  -0.085
H: 0.5396 2.1316 -1.9683  -0.786
C: -0.7251 -0.5266 -0.6118  0.888
O: 0.1060 0.4815 -0.0131  1.622
O: -1.9284 0.0742 -0.9460  -0.345
C: -0.1022 -1.3362 -1.8450  -0.028
F: 0.4559 -0.5623 -2.6958  -0.203
F: 0.8927 -2.0608 -1.3985  -0.354
F: -0.8081 -2.2381 -2.4584  -0.109
C: 1.4271 0.1894 0.3936  -0.400
C: 1.7783 1.1425 1.5132  -1.154
H: 1.2236 0.8687 2.4107  -0.010
H: 2.8282 1.1916 1.8018  0.474
H: 1.3830 2.0864 1.1378  -0.030
H: 2.2217 0.3133 -0.3422  0.135
H: 1.5166 -0.8519 0.7033  0.043
H: -0.9160 -1.2840 0.1484  -0.527
C: -2.8348 3.5539 3.1098  -1.413
C: -2.0894 2.3365 2.5443  1.924
C: -2.8896 1.0477 2.4119  -0.653
O: -3.7763 1.2636 1.2755  -0.185
C: -4.7522 0.2215 1.0374  -1.143
N: -1.4096 2.7665 1.4013  0.462
H: -3.5268 4.0825 2.4542  0.246
H: -2.1353 4.3826 3.2193  0.355
H: -3.1677 3.3925 4.1352  0.431
H: -1.2584 2.1254 3.2174  -0.829
H: -3.5542 0.9259 3.2673  0.734
H: -2.3346 0.1285 2.2244  -0.049
H: -5.4865 0.5513 0.3025  0.342
H: -5.3770 0.1047 1.9229  0.416
H: -4.4129 -0.7625 0.7138  0.267
H: -0.9019 3.6027 1.6523  -0.060
H: -0.5939 2.1792 1.3026  -1.110
C: 2.3383 -3.6522 -5.9379  -1.597
C: 1.2325 -2.6217 -6.0199  0.972
C: 1.6932 -1.1491 -6.0068  -0.466
O: 2.4800 -0.8820 -7.1467  -0.399
C: 3.0268 0.4342 -7.2163  -0.795
N: 0.5809 -2.8750 -7.2498  -0.828
H: 3.0734 -3.4084 -6.7050  0.246
H: 1.9691 -4.6594 -6.1306  0.427
H: 2.7696 -3.5671 -4.9404  0.332
H: 0.4800 -2.7567 -5.2431  0.104
H: 2.0738 -0.8023 -5.0461  0.338
H: 0.7865 -0.5455 -6.0465  0.268
H: 2.2704 1.2063 -7.3573  0.305
H: 3.7537 0.3693 -8.0259  0.321
H: 3.7123 0.7253 -6.4204  0.281
H: -0.3237 -2.4259 -7.2491  0.218
H: 1.1326 -2.4126 -7.9583  0.310
C: -5.0878 -0.5488 -2.8727  -1.479
C: -3.9992 -1.0445 -3.8439  1.797
C: -4.5184 -1.3554 -5.2519  -1.110
O: -3.4233 -1.9390 -5.9576  -0.218
C: -3.7900 -2.6645 -7.1295  -0.941
N: -3.1064 0.0994 -4.0211  -0.721
H: -4.7000 -0.3373 -1.8762  -0.107
H: -5.7978 -1.3707 -2.7803  0.396
H: -5.6622 0.3192 -3.1965  0.379
H: -3.3333 -1.7672 -3.3723  -0.239
H: -4.9463 -0.4215 -5.6164  0.319
H: -5.4184 -1.9702 -5.2509  0.547
H: -2.9394 -2.7947 -7.7984  0.184
H: -4.7196 -2.3566 -7.6082  0.368
H: -4.1694 -3.6101 -6.7420  0.402
H: -2.4939 0.1295 -3.2186  -0.028
H: -2.6004 -0.3056 -4.7957  0.302
C: -6.0439 -3.4835 -1.1841  -1.138
C: -5.0051 -4.4409 -0.5578  0.676
C: -3.5158 -4.1347 -0.9765  -0.465
O: -2.6702 -5.0711 -0.2463  -0.511
C: -1.3343 -4.9766 -0.7935  -0.928
N: -5.0974 -4.1956 0.8733  -0.537
H: -5.7056 -2.4624 -1.0083  -0.203
H: -6.9942 -3.6477 -0.6761  0.457
H: -6.3115 -3.7782 -2.1989  0.430
H: -5.3236 -5.4322 -0.8802  0.320
H: -3.3691 -3.1531 -0.5259  -0.063
H: -3.3305 -3.9893 -2.0408  0.523
H: -0.9456 -3.9587 -0.8214  0.117
H: -1.2618 -5.2844 -1.8366  0.365
H: -0.6074 -5.5007 -0.1729  0.472
H: -4.1346 -4.2514 1.1732  -0.108
H: -5.4690 -4.9508 1.4316  0.315
C: 1.0661 4.0210 5.8462  -1.593
└──

Completed >
The following is a DFT calculation (ωB97M-V with the def2-TZVPD basis set) of a structure of composition C40H95F9N7O13Sr.

Each line ends with the Mulliken charge.
Element x y z (Å)
Sr: -2.8929 2.5185 -0.7821  1.318
C: 0.4771 6.2331 1.6137  -0.228
O: 0.4763 7.4895 1.0117  -0.210
O: -0.2307 5.4031 0.7650  -0.708
C: 1.9123 5.7972 2.1777  0.910
F: 2.0025 4.5155 2.4976  -0.213
F: 2.8517 5.9813 1.2480  -0.327
F: 2.3344 6.4033 3.2359  -0.311
C: 0.8261 8.6128 1.8845  -0.282
C: 1.3900 9.6036 0.8373  -1.205
H: 0.5417 10.1306 0.4005  0.289
H: 1.9397 10.4097 1.3231  0.382
H: 2.0529 9.1528 0.0988  0.297
H: 1.5043 8.4205 2.7159  0.294
H: -0.0609 9.1192 2.2650  0.287
H: -0.1865 6.3950 2.4632  -0.005
C: 0.5155 3.0207 -2.5984  0.979
O: 1.5899 3.8598 -2.1682  -0.216
O: -0.6140 3.6971 -2.0383  -0.861
C: 0.4874 2.6933 -4.1285  0.730
F: -0.1377 3.6605 -4.8880  -0.359
F: 1.6689 2.5055 -4.6514  -0.281
F: -0.2738 1.6287 -4.3830  -0.149
C: 2.9733 3.3288 -2.0640  0.412
C: 3.8453 4.5937 -2.2062  -1.485
H: 3.3647 5.3753 -1.6177  0.282
H: 4.8504 4.4329 -1.8163  0.418
H: 3.8607 4.9252 -3.2445  0.328
H: 3.2869 2.6446 -2.8524  0.234
H: 3.1561 2.7834 -1.1381  -0.085
H: 0.5396 2.1316 -1.9683  -0.786
C: -0.7251 -0.5266 -0.6118  0.888
O: 0.1060 0.4815 -0.0131  1.622
O: -1.9284 0.0742 -0.9460  -0.345
C: -0.1022 -1.3362 -1.8450  -0.028
F: 0.4559 -0.5623 -2.6958  -0.203
F: 0.8927 -2.0608 -1.3985  -0.354
F: -0.8081 -2.2381 -2.4584  -0.109
C: 1.4271 0.1894 0.3936  -0.400
C: 1.7783 1.1425 1.5132  -1.154
H: 1.2236 0.8687 2.4107  -0.010
H: 2.8282 1.1916 1.8018  0.474
H: 1.3830 2.0864 1.1378  -0.030
H: 2.2217 0.3133 -0.3422  0.135
H: 1.5166 -0.8519 0.7033  0.043
H: -0.9160 -1.2840 0.1484  -0.527
C: -2.8348 3.5539 3.1098  -1.413
C: -2.0894 2.3365 2.5443  1.924
C: -2.8896 1.0477 2.4119  -0.653
O: -3.7763 1.2636 1.2755  -0.185
C: -4.7522 0.2215 1.0374  -1.143
N: -1.4096 2.7665 1.4013  0.462
H: -3.5268 4.0825 2.4542  0.246
H: -2.1353 4.3826 3.2193  0.355
H: -3.1677 3.3925 4.1352  0.431
H: -1.2584 2.1254 3.2174  -0.829
H: -3.5542 0.9259 3.2673  0.734
H: -2.3346 0.1285 2.2244  -0.049
H: -5.4865 0.5513 0.3025  0.342
H: -5.3770 0.1047 1.9229  0.416
H: -4.4129 -0.7625 0.7138  0.267
H: -0.9019 3.6027 1.6523  -0.060
H: -0.5939 2.1792 1.3026  -1.110
C: 2.3383 -3.6522 -5.9379  -1.597
C: 1.2325 -2.6217 -6.0199  0.972
C: 1.6932 -1.1491 -6.0068  -0.466
O: 2.4800 -0.8820 -7.1467  -0.399
C: 3.0268 0.4342 -7.2163  -0.795
N: 0.5809 -2.8750 -7.2498  -0.828
H: 3.0734 -3.4084 -6.7050  0.246
H: 1.9691 -4.6594 -6.1306  0.427
H: 2.7696 -3.5671 -4.9404  0.332
H: 0.4800 -2.7567 -5.2431  0.104
H: 2.0738 -0.8023 -5.0461  0.338
H: 0.7865 -0.5455 -6.0465  0.268
H: 2.2704 1.2063 -7.3573  0.305
H: 3.7537 0.3693 -8.0259  0.321
H: 3.7123 0.7253 -6.4204  0.281
H: -0.3237 -2.4259 -7.2491  0.218
H: 1.1326 -2.4126 -7.9583  0.310
C: -5.0878 -0.5488 -2.8727  -1.479
C: -3.9992 -1.0445 -3.8439  1.797
C: -4.5184 -1.3554 -5.2519  -1.110
O: -3.4233 -1.9390 -5.9576  -0.218
C: -3.7900 -2.6645 -7.1295  -0.941
N: -3.1064 0.0994 -4.0211  -0.721
H: -4.7000 -0.3373 -1.8762  -0.107
H: -5.7978 -1.3707 -2.7803  0.396
H: -5.6622 0.3192 -3.1965  0.379
H: -3.3333 -1.7672 -3.3723  -0.239
H: -4.9463 -0.4215 -5.6164  0.319
H: -5.4184 -1.9702 -5.2509  0.547
H: -2.9394 -2.7947 -7.7984  0.184
H: -4.7196 -2.3566 -7.6082  0.368
H: -4.1694 -3.6101 -6.7420  0.402
H: -2.4939 0.1295 -3.2186  -0.028
H: -2.6004 -0.3056 -4.7957  0.302
C: -6.0439 -3.4835 -1.1841  -1.138
C: -5.0051 -4.4409 -0.5578  0.676
C: -3.5158 -4.1347 -0.9765  -0.465
O: -2.6702 -5.0711 -0.2463  -0.511
C: -1.3343 -4.9766 -0.7935  -0.928
N: -5.0974 -4.1956 0.8733  -0.537
H: -5.7056 -2.4624 -1.0083  -0.203
H: -6.9942 -3.6477 -0.6761  0.457
H: -6.3115 -3.7782 -2.1989  0.430
H: -5.3236 -5.4322 -0.8802  0.320
H: -3.3691 -3.1531 -0.5259  -0.063
H: -3.3305 -3.9893 -2.0408  0.523
H: -0.9456 -3.9587 -0.8214  0.117
H: -1.2618 -5.2844 -1.8366  0.365
H: -0.6074 -5.5007 -0.1729  0.472
H: -4.1346 -4.2514 1.1732  -0.108
H: -5.4690 -4.9508 1.4316  0.315
C: 1.0661 4.0210 5.8462  -1.593